Chapter 7

Chapter 7
States of Consciousness
• Mental awareness of sensations,
perception, memories, and feelings
• Mainly waking consciousness
• Altered states of consciousness (changes
in quality and pattern of mental activity,
such as sleep and dreaming)
Sleep-deprivation psychosis
EEG measures sleep activity
Awake, alert: beta waves (small, fast)
Immediately before sleep: alpha waves
(larger and slower)
4 Stages of Sleep
• 1. Light sleep: heart rate slows, muscles
2. Body temp. decreases: EEG shows sleep
spindles, boundary of sleep
3. Delta waves (very large and slow): deeper
sleep, decreased consciousness
4. Deep sleep: shift between light and deep sleep during
the night
REM Sleep
• Rapid eye movement, associated with
• Increased by day-time stress
• Early in life: may stimulate the developing
• In adults: help process emotional events,
integrate memories
Sleep Disturbances
• Insomnia: difficulty going to sleep, waking up
during night, early-morning awakening
• Temporary insomnia may be due to stress
• Sleepwalking
• Nightmares are bad dreams that occur in REM
and are remembered
• Night terrors occur in Stage 4: total panic,
hallucinations, not remembered
• Imagery rehearsal: imagine positive ending to
Sleep Disturbances
• Narcolepsy: sudden, irresistible sleep
• Fall directly into REM
• More than 50% also have cataplexy
(sudden temporary paralysis of muscles)
• Treated with Ritalin
Sleep Disturbances
• Sleep apnea: breathing stops
• Snore loudly
• Tired during the day
• Sudden Infant Death Syndrome (SIDS) or
“crib death”
• Risk factors: prematurity, teen mother
high-pitched cry, frequent awakening
Most people dream 4 to 5 times per night
Most dreams reflect everyday events
Half of dreams have sexual elements
Reflect waking thoughts, emotions,
Psychodynamic Dream Theory
Freud wrote The Interpretation of Dreams
Dreams based on wish fulfillment
Expression of unconscious desires
Desires are disguised as dream symbols
Activation-Synthesis Hypothesis
• Hobson and McCarley
• During REM, brain cells activated that control
eye movement, balance, and actions
• Messages blocked from body (no movement)
• Cells tell brain of activities, lead to a dream
• Brain activated, triggers sensations, memories,
synthesize activity into visual images and stories
• Altered state of consciousness
• Narrowed attention and increased
openness to suggestions
• Began with Mesmer in the 1700’s
• When hypnotized, people remain in control
of their behavior and do not do things that
they feel are immoral or repulsive
• Used for pain relief
Drug-Altered Consciousness
• Psychoactive Drug: substance capable of
altering attention, judgment, memory, time
sense, self-control, emotion or perception
• Influence activity of brain cells, imitate or
alter neurotransmitters
• Stimulant: increases activity in body and
nervous system
• Depressant: decreases activity in body
and nervous system
• Physical dependence (addiction): most
common with drugs that cause withdrawal
symptoms (alcohol, barbiturates, opiates)
• Psychological dependence: drug is
necessary for feelings or comfort, wellbeing
Patterns of Abuse
• Experimental: short-term curiosity
• Social-recreational: occasional social use
for pleasure
• Situational: cope with specific problem
• Intensive: daily use with some
• Compulsive: extreme use with extreme
• Amphetamines, cocaine, MDMA, caffeine, nicotine
• Cocaine: CNS stimulant, highly addictive, effects last 15
== Misplaced materials data ==
/*
[1]
Below is a geometry-optimized Ta3V2W4 structure, with properties calculated at the PBE level.

The density of states at the Fermi level comes out at 7.9 states/eV/cell. For the final energy, the calculation gives -11.776 eV per atom. The calculation puts the formation energy at -42 meV per atom.

Unit cell a=4.5178 b=4.5178 c=8.2556 alpha=90.00 beta=90.00 gamma=120.00
Atoms (fractional coordinates):
Ta: 0.0000 0.0000 0.0000
Ta: 0.3333 0.6667 0.4392
Ta: 0.6667 0.3333 0.5608
V: 0.3333 0.6667 0.7835
V: 0.6667 0.3333 0.2165
W: 0.0000 0.0000 0.3329
W: 0.0000 0.0000 0.6671
W: 0.3333 0.6667 0.1105
W: 0.6667 0.3333 0.8895

***

[2]
Below is a geometry-optimized TeClF2 structure, with properties calculated at the PBE level.

The density of states at the Fermi level comes out at 3.2 states/eV/cell. For the final energy, the calculation gives -2.949 eV per atom. The energy above the most stable polymorph in this dataset is 0.164 eV/atom. For the formation energy from raw total energies, the calculation gives -0.7664 eV per atom.

Unit cell a=10.3595 b=10.3595 c=10.3595 alpha=18.10 beta=18.10 gamma=18.10
Atoms (fractional coordinates):
Te: 0.0000 0.0000 0.0000
Cl: 0.5000 0.5000 0.5000
F: 0.0646 0.0646 0.0646
F: 0.9354 0.9354 0.9354

***

[3]
Below is a geometry-optimized CsTe structure, with properties calculated at the PBE level.

For the final energy, the calculation gives -2.865 eV per atom. For the formation energy from raw total energies, the calculation gives -0.8679 eV per atom.

Unit cell a=6.3180 b=11.8109 c=5.0834 alpha=90.00 beta=90.00 gamma=90.00
Atoms (fractional coordinates):
Cs: 0.1773 0.1358 0.0000
Cs: 0.3227 0.6358 0.0000
Cs: 0.6773 0.3642 0.0000
Cs: 0.8227 0.8642 0.0000
Te: 0.1349 0.4043 0.5000
Te: 0.3651 0.9043 0.5000
Te: 0.6349 0.0957 0.5000
Te: 0.8651 0.5957 0.5000

***

[4]
Below is a geometry-optimized Na3Cd2Pt structure, with properties calculated at the PBE level.

The density of states at the Fermi level comes out at 1.8 states/eV/cell. For the final energy, the calculation gives -2.129 eV per atom. The energy above the most stable polymorph in this dataset is 0.000 eV/atom. The calculation puts the formation energy at -158 meV per atom.

Unit cell a=9.2770 b=9.2770 c=3.0510 alpha=90.00 beta=90.00 gamma=146.61
Atoms (fractional coordinates):
Na: 0.0000 0.0000 0.0000
Na: 0.1965 0.8035 0.5000
Na: 0.8035 0.1965 0.5000
Cd: 0.3697 0.6303 0.0000
Cd: 0.6303 0.3697 0.0000
Pt: 0.5000 0.5000 0.5000

***

[5]
Below is a geometry-optimized Be2TePdI structure, with properties calculated at the PBE level.

The density of states at the Fermi level comes out at 2.1 states/eV/cell. For the final energy, the calculation gives -2.760 eV per atom. For the formation energy from raw total energies, the calculation gives 0.7072 eV per atom.

Unit cell a=4.8706 b=4.8706 c=5.1148 alpha=90.00 beta=90.00 gamma=90.00
Atoms (fractional coordinates):
Be: 0.0000 0.5000 0.0000
Be: 0.5000 0.0000 0.0000
Te: 0.0000 0.0000 0.0000
Pd: 0.0000 0.0000 0.5000
*/
to 30 minutes, one of most dangerous drugs of abuse
• MDMA (“Ecstasy”): lowers scores on tests of memory
and mental functioning.
• Caffeine: most frequently used psychoactive drug in
North America, abuse causes irritability, insomnia
• Nicotine: most used psychoactive substance after
caffeine, addictive, carcinogenic
• Sedatives, tranquilizers, alcohol
• Barbiturates: sedative drugs, decrease brain
activity, can OD because people forget they took
• Tranquilizers: decrease anxiety, strong addictive
potential, interaction with ETOH multiplies the
effects of both (Valium, Xanax, Halcion, Librium)
• Alcohol: impairs memory in young adults,
abusers drink to cope, genetic factors
• Marijuana: sense of euphoria, perceptual
distortions, paranoia and hallucinations in
high doses, psychological dependence,
some decrease in learning, memory,
Predictors of Adolescent Drug Use
Having friends who use drugs
Parental drug use
Troubled family life
Poor self-esteem
Social nonconformity
Stressful life changes
Impulsive, antisocial behavior, school failure